Thursday, July 11, 2019

How to lose weight when you are busy?!? -

I feel like I don t have time to exercise. Except for times like now when it is midnight, which in most cases i m sleeping or tired but up because my mind is going to much to sleep.I m on the go from 7am to 10pm every day between work school. Weekend nights off. I have a break from 3-6 were I run our daughter around to her extra activies, help w/ homework, cook dinner, throw in some laundry, clean up a bit. I diet, but it doesn t seem to work unless I go extreme. In which case the only extreme one that works is atkins, which I have to eat less than 20 carbs to lose a decent amount. It feels immpossible when you don t have time to cook or exercise. I don t know what to do? I m 5 9 230lbs. I used to weigh 180, and worry about hitting the 200 mark and used to swear I would starve myself if it happened. But it flew right by me, and now I m just stuck. Help please?

It sucks to have very little time to yourself as it is, let alone to know you need to set even more of that time to exercise. I know what you mean. When you DO have a moment you just want to chill out, not get up and get sweaty and dedicate 30-60 minutes making yourself even MORE tired than you were before! What you should do to get it started is, if you drink soda pop or any other carbonated beverage, STOP! Right now, just STOP STOP! Start just pretty much sticking to water and then your normal amount of milk and some juice.That will help in more ways than one. Next start drinking even more water. It helps make you feel full for a bit, and is so good for you. That is something you can do without messing your day up. Next, have you ever tried pilates? It is low impact and easy to do from the dvd or video! It is easy and you really do not get as sweaty as you do such as jogging. You can do it at home and it makes you feel so much better. Even doing just 15 to 20 minutes of it makes a huge difference! It burns fat, gives energy and helps give you tone - which is muscle, and muscle burns fat... even when you aren t working out! So, that s awesome! The water helps speed that up- and the lack of carbonation ties in! Even if you just drink more water, no soda or carbonated beverages and do pilates or an equilavent (3-5 days/week) I bet you will lose those 35 pounds to get you under the 200 mark by June or July! Good luck and just be aware- but not paranoid, of what is going in your mouth. Do not starve yourself, that has a reverse effect! You can do it!

Try i Diet Fitness. Their Diet and Fitness package includes a Guide entitled Fitting Fitness Into A Busy Schedule . It s made for people who are too busy and can t dedicate as much time to exercise. The guide contains answers to your questions and exercises you can do to lose weight that don t take up much time. Hope this helps.

-- Someone pasted calculated crystals at this point --
- - -
Entry 1:
# InAg2

A geometry-optimized InAg2 structure (PBE-GGA, Alexandria).

## Properties
The value obtained for the mass density is 9.29 g/cm³. For the total energy, the calculation gives -33.85 eV per cell. The formation energy is -7 meV per atom.

POSCAR file:
```
InAg2
1.0
10.993 0.000 0.000
0.000 3.090 0.000
-1.626 0.000 6.957
In Ag
4 8
Direct
0.000 0.000 0.000
0.184 0.500 0.365
0.500 0.500 0.000
0.684 0.000 0.365
0.125 0.500 0.743
0.284 0.000 0.075
0.345 0.000 0.682
0.458 0.500 0.407
0.625 0.000 0.743
0.784 0.500 0.075
0.845 0.500 0.682
0.958 0.000 0.407
```

Entry 2:
# U3Ge2Pt5

A geometry-optimized U3Ge2Pt5 structure (PBE-GGA, Alexandria).

## Properties
The value obtained for the mass density is 15.06 g/cm³. For the total energy, the calculation gives -154.41 eV per cell. The formation energy is -390 meV per atom.

POSCAR file:
```
U3Ge2Pt5
1.0
-5.766 6.226 2.818
5.766 -6.226 2.818
5.766 6.226 -2.818
U Ge Pt
6 4 10
Direct
0.200 0.608 0.809
0.250 0.250 0.000
0.300 0.108 0.408
0.700 0.892 0.592
0.750 0.750 0.000
0.800 0.392 0.191
0.157 0.867 0.024
0.343 0.367 0.710
0.657 0.633 0.290
0.843 0.133 0.976
0.150 0.359 0.510
0.250 0.009 0.759
0.250 0.491 0.241
0.250 0.750 0.500
0.350 0.859 0.209
0.650 0.141 0.791
0.750 0.250 0.500
0.750 0.509 0.759
0.750 0.991 0.241
0.850 0.641 0.490
```


[1]
Entry from Alexandria: Ba3SrCr after structural relaxation (PBE).

The crystal system is cubic. The formation energy comes out at 338 kJ/mol of formula units. The theoretical density is 3876 kg/m³. For the total energy, the calculation gives -0.199 Ry/atom. The magnetic moment is 0.0 Bohr magnetons per cell.

CIF file:
```
data_Ba3SrCr
_cell_length_a 6.1827
_cell_length_b 6.1827
_cell_length_c 6.1827
_cell_angle_alpha 90.00
_cell_angle_beta 90.00
_cell_angle_gamma 90.00
_symmetry_space_group_name_H-M 'P 1'
_symmetry_Int_Tables_number 1
loop_
_symmetry_equiv_pos_as_xyz
'x,y,z'
loop_
_atom_site_label
_atom_site_type_symbol
_atom_site_fract_x
_atom_site_fract_y
_atom_site_fract_z
Ba1 Ba 0.0000 0.5000 0.0000
Ba2 Ba 0.0000 0.0000 0.5000
Ba3 Ba 0.5000 0.0000 0.0000
Sr1 Sr 0.5000 0.5000 0.5000
Cr1 Cr 0.0000 0.0000 0.0000
```

=====

[2]
Entry from Alexandria: ErThTlBi after structural relaxation (PBE).

The crystal system is cubic. The formation energy comes out at -107 kJ/mol of formula units. The theoretical density is 11524 kg/m³. For the total energy, the calculation gives -0.355 Ry/atom. The magnetic moment is 0.0 Bohr magnetons per cell.

CIF file:
```
data_ErThTlBi
_cell_length_a 5.4914
_cell_length_b 5.4914
_cell_length_c 5.4914
_cell_angle_alpha 60.00
_cell_angle_beta 60.00
_cell_angle_gamma 60.00
_symmetry_space_group_name_H-M 'P 1'
_symmetry_Int_Tables_number 1
loop_
_symmetry_equiv_pos_as_xyz
'x,y,z'
loop_
_atom_site_label
_atom_site_type_symbol
_atom_site_fract_x
_atom_site_fract_y
_atom_site_fract_z
Bi1 Bi 0.0000 0.0000 0.0000
Th1 Th 0.2500 0.2500 0.2500
Tl1 Tl 0.5000 0.5000 0.5000
Er1 Er 0.7500 0.7500 0.7500
```

=====

[3]
- - -
-- Here the text continues --

spare 30 minutes a day to speed walk. Trust me, it will work in a few months, since you are running around from day to day with your hectic schedule anyways.

Try to get more information on dieting, weight loss articles, health and fitness articles, weight loss forum and BMI calculator at my profile and get the advise from them to lose weight fast and healthy.